## Activity
Find "No. 12" and "0.759 0.759" in the data further below, and quote these two lines and those between.

## File
********
Here is crystalline TbGePd at its relaxed geometry from Materials Project. Energies are from PBE.

Structure (POSCAR):
```
TbGePd
1.0
5.218 -2.201 0.000
5.218 2.201 0.000
-4.734 0.000 5.239
Tb Ge Pd
2 2 2
Cartesian
-0.990 0.000 1.582
6.691 0.000 3.657
-0.678 0.000 4.676
6.379 0.000 0.563
2.062 0.000 1.428
3.639 0.000 3.811
```

Output
Calculated formation energy: -906 meV/atom
E: -5.718 eV/atom
ρ: 9.33 g/cm³
Crystal system: monoclinic
Space group: C2/m (12)

=====

Ni3Se4: relaxed, r²SCAN.

POSCAR file:
```
Ni3Se4
1.0
6.021 -1.814 0.000
6.021 1.814 0.000
-3.071 0.000 5.322
Ni Se
3 4
direct
0.000 0.000 0.000
0.259 0.259 0.278
0.741 0.741 0.722
0.121 0.121 0.456
0.365 0.365 0.024
0.635 0.635 0.976
0.879 0.879 0.544
```

Summary:
* symmetry: C2/m, No. 12
* ρ: 7.03 Mg/m³
* E_form: -0.3133 eV per atom



La5AsPb3: relaxed, r²SCAN.

POSCAR file:
```
La5AsPb3
1.0
9.677 0.000 0.000
-4.838 8.380 0.000
0.000 0.000 7.414
La As Pb
10 2 6
direct
0.000 0.241 0.250
0.000 0.759 0.750
0.241 0.000 0.250
0.241 0.241 0.750
0.333 0.667 0.000
0.333 0.667 0.500
0.667 0.333 0.000
0.667 0.333 0.500
0.759 0.000 0.750
0.759 0.759 0.250
0.000 0.000 0.000
0.000 0.000 0.500
0.000 0.401 0.750
0.000 0.599 0.250
0.401 0.000 0.750
0.401 0.401 0.250
0.599 0.000 0.250
0.599 0.599 0.750
```

Summary:
* symmetry: P6_3/mcm, No. 193
* ρ: 7.68 Mg/m³
* E_form: -1.0569 eV per atom



Ba2NbCrO6: relaxed, r²SCAN.

POSCAR file:
```
Ba2NbCrO6
1.0
5.782 0.000 0.000
-2.891 5.007 0.000
0.000 0.000 18.976
Ba Nb Cr O
8 4 4 24
direct
0.000 0.000 0.000
0.000 0.000 0.500
0.333 0.667 0.141
0.333 0.667 0.359
0.333 0.667 0.750
0.667 0.333 0.250
0.667 0.333 0.641
0.667 0.333 0.859
0.333 0.667 0.565
0.333 0.667 0.935
0.667 0.333 0.065
0.667 0.333 0.435
0.000 0.000 0.182
0.000 0.000 0.318
0.000 0.000 0.682
0.000 0.000 0.818
0.000 0.500 0.000
0.000 0.500 0.500
0.148 0.297 0.250
0.148 0.852 0.250
0.169 0.337 0.622
0.169 0.337 0.878
0.169 0.831 0.622
0.169 0.831 0.878
0.297 0.148 0.750
0.337 0.169 0.122
0.337 0.169 0.378
0.500 0.000 0.000
0.500 0.000 0.500
0.500 0.500 0.000
0.500 0.500 0.500
0.663 0.831 0.622
0.663 0.831 0.878
0.703 0.852 0.250
0.831 0.169 0.122
0.831 0.169 0.378
0.831 0.663 0.122
0.831 0.663 0.378
0.852 0.148 0.750
0.852 0.703 0.750
```

Summary:
* symmetry: P6_3/mmc, No. 194
* ρ: 6.23 Mg/m³
* E_form: -2.9605 eV per atom



CrSiTe3: relaxed, r²SCAN.

POSCAR file:
```
CrSiTe3
1.0
3.415 1.972 7.258
-3.415 1.972 7.258
0.000 -3.944 7.258
Cr Si Te
2 2 6
direct
0.166 0.166 0.166
0.834 0.834 0.834
0.448 0.448 0.448
0.552 0.552 0.552
0.060 0.779 0.422
0.221 0.578 0.940
0.422 0.060 0.779
0.578 0.940 0.221
0.779 0.422 0.060
0.940 0.221 0.578
```

Summary:
* symmetry: R-3, No. 148
* ρ: 5.24 Mg/m³
* E_form: -0.3343 eV per atom

=====

1.
First-principles (r2SCAN) data for a geometry-optimized MgAu5 structure, as listed in Materials Project.

a b c (Å): 5.0260 5.0260 4.7834
angles (deg): 90.00 90.00 120.00
Space group P-62m (No. 189)
One atom of each set of equivalent atoms:
Mg (0.0000, 0.0000, 0.0000) x1
Au (0.0000, 0.6708, 0.5000) x3
Au (0.3333, 0.6667, 0.0000) x2

E_tot (eV per atom): -43.12
Crystal system: hexagonal
DFT formation energy (eV/atom): -0.268
Theoretical density (Mg/m³): 16.01

2.
First-principles (r2SCAN) data for a geometry-optimized MgAu3 structure, as listed in Materials Project.

a b c (Å): 4.0821 4.0821 8.3202
angles (deg): 90.00 90.00 90.00
Space group I4/mmm (No. 139)
One atom of each set of equivalent atoms:
Mg (0.0000, 0.0000, 0.0000) x2
Au (0.0000, 0.0000, 0.5000) x2
Au (0.0000, 0.5000, 0.2500) x4

E_tot (eV per atom): -39.39
Crystal system: tetragonal
DFT formation energy (eV/atom): -0.410
Theoretical density (Mg/m³): 14.74

3.
First-principles (r2SCAN) data for a geometry-optimized TbMgAu structure, as listed in Materials Project.

a b c (Å): 7.5893 7.5893 4.0824
angles (deg): 90.00 90.00 120.00
Space group P-62m (No. 189)
One atom of each set of equivalent atoms:
Tb (0.0000, 0.5865, 0.0000) x3
Mg (0.0000, 0.2432, 0.5000) x3
Au (0.0000, 0.0000, 0.0000) x1
********

## Written answer
* symmetry: C2/m, No. 12
* ρ: 7.03 Mg/m³
* E_form: -0.3133 eV per atom



La5AsPb3: relaxed, r²SCAN.

POSCAR file:
```
La5AsPb3
1.0
9.677 0.000 0.000
-4.838 8.380 0.000
0.000 0.000 7.414
La As Pb
10 2 6
direct
0.000 0.241 0.250
0.000 0.759 0.750
0.241 0.000 0.250
0.241 0.241 0.750
0.333 0.667 0.000
0.333 0.667 0.500
0.667 0.333 0.000
0.667 0.333 0.500
0.759 0.000 0.750
0.759 0.759 0.250